Exercise.
Duplicate the entries further below from the line with "~~~~~" to the end without altering anything.
Entries.
- - -
Record 1
KCu2NiMo after structural relaxation, computed with PBE.

extended XYZ file:
```
5
Lattice="4.916 0.000 0.000 0.000 4.600 0.000 0.000 0.000 4.916" Properties=species:S:1:pos:R:3 pbc="T T T"
Ni 0.000 2.300 0.000
Cu 0.000 0.000 2.458
Cu 2.458 0.000 0.000
Mo 0.000 0.000 0.000
K 2.458 2.300 2.458
```

Output
The formation energy comes out at 1081.9 meV/atom.

Record 2
MnP3Pt12Pb2 after structural relaxation, computed with PBE.

extended XYZ file:
```
18
Lattice="-0.309 -3.511 6.748 6.195 0.693 4.371 -0.726 4.550 6.060" Properties=species:S:1:pos:R:3 pbc="T T T"
Pb 3.161 1.061 10.525
Pb 1.999 0.671 6.654
P -0.155 -1.755 3.374
P -0.363 2.275 3.030
P 3.097 0.346 2.185
Pt 0.013 0.743 8.703
Pt 1.460 3.044 9.377
Pt 3.698 0.565 4.387
Pt 0.527 -1.484 5.546
Pt 4.633 3.216 11.633
Pt 3.700 -1.311 7.803
Pt 3.478 2.983 7.436
Pt 4.836 -0.713 11.968
Pt 1.682 -1.250 9.743
Pt 0.324 2.446 5.211
Pt 5.147 0.989 8.477
Pt 1.462 1.167 12.792
Mn 0.000 0.000 0.000
```

Output
The formation energy comes out at -190.8 meV/atom.

~~~~~

(1)
! PBE Li2Pd15Pt2, optimized geometry; values from VASP
! **Total magnetic moment**: 0.00 μB per formula unit
! **Crystal system**: trigonal
! **Energy**: -4.811 eV per atom
&SYSTEM
  ibrav = 0, nat = 19, ntyp = 3
/
ATOMIC_SPECIES
Li 6.94 Li.upf
Pd 106.42 Pd.upf
Pt 195.08 Pt.upf
CELL_PARAMETERS angstrom
6.760 -0.183 1.373
1.086 6.675 1.373
-0.222 -0.183 6.895
ATOMIC_POSITIONS crystal
Li 0.907 0.907 0.907
Li 0.093 0.093 0.093
Pd 0.000 0.500 0.000
Pd 0.000 0.000 0.500
Pd 0.500 0.000 0.000
Pd 0.336 0.000 0.664
Pd 0.664 0.336 0.000
Pd 0.000 0.664 0.336
Pd 0.336 0.664 0.000
Pd 0.000 0.336 0.664
Pd 0.664 0.000 0.336
Pd 0.334 0.833 0.334
Pd 0.334 0.334 0.833
Pd 0.833 0.334 0.334
Pd 0.666 0.167 0.666
Pd 0.666 0.666 0.167
Pd 0.167 0.666 0.666
Pt 0.723 0.723 0.723
Pt 0.277 0.277 0.277

(2)
! PBE Li3Pd2Pt, optimized geometry; values from VASP
! **Total magnetic moment**: 0.00 μB per formula unit
! **Crystal system**: orthorhombic
! **Excess energy over the best structure of this formula in the dataset**: 0.000 eV per atom
&SYSTEM
  ibrav = 0, nat = 12, ntyp = 3
/
ATOMIC_SPECIES
Li 6.94 Li.upf
Pd 106.42 Pd.upf
Pt 195.08 Pt.upf
CELL_PARAMETERS angstrom
4.208 0.000 0.000
0.000 5.976 0.000
-2.104 -2.988 6.304
ATOMIC_POSITIONS crystal
Li 0.500 0.250 0.000
Li 0.500 0.750 0.000
Li 0.835 0.085 0.669
Li 0.165 0.415 0.331
Li 0.165 0.915 0.331
Li 0.835 0.585 0.669
Pd 0.333 0.333 0.666
Pd 0.667 0.167 0.334
Pd 0.333 0.833 0.666
Pd 0.667 0.667 0.334
Pt 0.000 0.500 0.000
Pt 0.000 0.000 0.000

(3)
! PBE Li5Pd2Pt, optimized geometry; values from VASP
! **Total magnetic moment**: 0.00 μB per formula unit
! **Crystal system**: tetragonal
! **Excess energy over the best structure of this formula in the dataset**: 0.008 eV per atom
&SYSTEM
  ibrav = 0, nat = 8, ntyp = 3
/
ATOMIC_SPECIES
Li 6.94 Li.upf
Pd 106.42 Pd.upf
Pt 195.08 Pt.upf
CELL_PARAMETERS angstrom
4.252 0.000 0.000
0.000 4.252 0.000
-2.126 -2.126 6.061
ATOMIC_POSITIONS crystal
Li 0.500 0.500 0.000
Li 0.871 0.371 0.741
Li 0.371 0.871 0.741
Li 0.129 0.629 0.259
Li 0.629 0.129 0.259
Pd 0.756 0.756 0.511
Pd 0.244 0.244 0.489
Pt 0.000 0.000 0.000

(4)
! PBE LiPd6Pt, optimized geometry; values from VASP
! **Total magnetic moment**: 0.01 μB per formula unit
! **Crystal system**: tetragonal
! **Excess energy over the best structure of this formula in the dataset**: 0.000 eV per atom
&SYSTEM
  ibrav = 0, nat = 8, ntyp = 3
/
ATOMIC_SPECIES
Li 6.94 Li.upf
Pd 106.42 Pd.upf
Pt 195.08 Pt.upf
CELL_PARAMETERS angstrom
-0.106 3.372 -2.170
-5.406 0.380 0.855
0.927 2.946 4.534
ATOMIC_POSITIONS crystal
Li 0.500 0.000 0.000
Pd 0.000 0.751 0.249
Pd 0.000 0.249 0.751
Pd 0.000 0.752 0.752
Pd 0.000 0.248 0.248
Pd 0.500 0.500 0.000
Pd 0.500 0.000 0.500
Pt 0.500 0.500 0.500

(5)
! PBE Li4PdPt, optimized geometry; values from VASP
! **Total magnetic moment**: 0.00 μB per formula unit
! **Crystal system**: orthorhombic
! **Excess energy over the best structure of this formula in the dataset**: 0.000 eV per atom
- - -
Reply.
~~~~~

(1)
! PBE Li2Pd15Pt2, optimized geometry; values from VASP
! **Total magnetic moment**: 0.00 μB per formula unit
! **Crystal system**: trigonal
! **Energy**: -4.811 eV per atom
&SYSTEM
  ibrav = 0, nat = 19, ntyp = 3
/
ATOMIC_SPECIES
Li 6.94 Li.upf
Pd 106.42 Pd.upf
Pt 195.08 Pt.upf
CELL_PARAMETERS angstrom
6.760 -0.183 1.373
1.086 6.675 1.373
-0.222 -0.183 6.895
ATOMIC_POSITIONS crystal
Li 0.907 0.907 0.907
Li 0.093 0.093 0.093
Pd 0.000 0.500 0.000
Pd 0.000 0.000 0.500
Pd 0.500 0.000 0.000
Pd 0.336 0.000 0.664
Pd 0.664 0.336 0.000
Pd 0.000 0.664 0.336
Pd 0.336 0.664 0.000
Pd 0.000 0.336 0.664
Pd 0.664 0.000 0.336
Pd 0.334 0.833 0.334
Pd 0.334 0.334 0.833
Pd 0.833 0.334 0.334
Pd 0.666 0.167 0.666
Pd 0.666 0.666 0.167
Pd 0.167 0.666 0.666
Pt 0.723 0.723 0.723
Pt 0.277 0.277 0.277

(2)
! PBE Li3Pd2Pt, optimized geometry; values from VASP
! **Total magnetic moment**: 0.00 μB per formula unit
! **Crystal system**: orthorhombic
! **Excess energy over the best structure of this formula in the dataset**: 0.000 eV per atom
&SYSTEM
  ibrav = 0, nat = 12, ntyp = 3
/
ATOMIC_SPECIES
Li 6.94 Li.upf
Pd 106.42 Pd.upf
Pt 195.08 Pt.upf
CELL_PARAMETERS angstrom
4.208 0.000 0.000
0.000 5.976 0.000
-2.104 -2.988 6.304
ATOMIC_POSITIONS crystal
Li 0.500 0.250 0.000
Li 0.500 0.750 0.000
Li 0.835 0.085 0.669
Li 0.165 0.415 0.331
Li 0.165 0.915 0.331
Li 0.835 0.585 0.669
Pd 0.333 0.333 0.666
Pd 0.667 0.167 0.334
Pd 0.333 0.833 0.666
Pd 0.667 0.667 0.334
Pt 0.000 0.500 0.000
Pt 0.000 0.000 0.000

(3)
! PBE Li5Pd2Pt, optimized geometry; values from VASP
! **Total magnetic moment**: 0.00 μB per formula unit
! **Crystal system**: tetragonal
! **Excess energy over the best structure of this formula in the dataset**: 0.008 eV per atom
&SYSTEM
  ibrav = 0, nat = 8, ntyp = 3
/
ATOMIC_SPECIES
Li 6.94 Li.upf
Pd 106.42 Pd.upf
Pt 195.08 Pt.upf
CELL_PARAMETERS angstrom
4.252 0.000 0.000
0.000 4.252 0.000
-2.126 -2.126 6.061
ATOMIC_POSITIONS crystal
Li 0.500 0.500 0.000
Li 0.871 0.371 0.741
Li 0.371 0.871 0.741
Li 0.129 0.629 0.259
Li 0.629 0.129 0.259
Pd 0.756 0.756 0.511
Pd 0.244 0.244 0.489
Pt 0.000 0.000 0.000

(4)
! PBE LiPd6Pt, optimized geometry; values from VASP
! **Total magnetic moment**: 0.01 μB per formula unit
! **Crystal system**: tetragonal
! **Excess energy over the best structure of this formula in the dataset**: 0.000 eV per atom
&SYSTEM
  ibrav = 0, nat = 8, ntyp = 3
/
ATOMIC_SPECIES
Li 6.94 Li.upf
Pd 106.42 Pd.upf
Pt 195.08 Pt.upf
CELL_PARAMETERS angstrom
-0.106 3.372 -2.170
-5.406 0.380 0.855
0.927 2.946 4.534
ATOMIC_POSITIONS crystal
Li 0.500 0.000 0.000
Pd 0.000 0.751 0.249
Pd 0.000 0.249 0.751
Pd 0.000 0.752 0.752
Pd 0.000 0.248 0.248
Pd 0.500 0.500 0.000
Pd 0.500 0.000 0.500
Pt 0.500 0.500 0.500

(5)
! PBE Li4PdPt, optimized geometry; values from VASP
! **Total magnetic moment**: 0.00 μB per formula unit
! **Crystal system**: orthorhombic
! **Excess energy over the best structure of this formula in the dataset**: 0.000 eV per atom